Lemon Shark: All you need to know!

The lemon shark, better known as Negaprion brevirostris in the scientific community, is only one of the over 1,000 species of shark you can find across the planet. Because to potentially declining population levels, the lemon shark is officially rated “Near Threatened.”

Characteristics and Appearance

At birth, lemon sharks measure about 20 to 30 inches long. Until they reach adulthood, the pups remain in their nursing grounds with their litters (which can have anywhere from four to seventeen...


Best Fish For A 5 Gallon Tank – 11+ Amazing Fishes

If you are planning to buy fish for your 5-gallon tank, then the following article is best suited for you. It includes all the types of fish that you pet, which ones to avoid and how many you can put. 

Aquariums with a capacity of five gallons are one of the most common tank sizes. It’s hardly surprising, given how compact they are and how readily they can fit into almost any area.

The smallest aquarium that can really house fish is a 5-gallon tank or cube. If you go any smaller, you’ll have...


U.S. Navy-Chartered Ordnance Barge Run Aground in Florida

U.S. Navy’s Military Sealift Command charter tug and barge got into trouble off Florida on Thursday while en route to the Navy’s Atlantic Underwater Test and Evaluation Center (AUTEC). According to the Coast Guard, the barge is full of ordnance, fuel, and other supplies needed for Navy operations.

A mayday call was sent out by the crew of the tug Sea Eagle on Thursday at 20:45 local time, reporting that they were in trouble and beginning to take on water.

In Fort Lauderdale, about three miles...


Best Algae Eaters For A Balanced Aquarium in 2022

The term “algae” refers to a diverse group of organisms that can produce oxygen through photosynthesis (the process of harvesting light energy from the sun to generate carbohydrates). These creatures aren’t always connected to each other. Certain characteristics, however, link them together while separating them from the other main group of photosynthetic creatures, terrestrial plants.

Nothing is more aggravating than waking up to see your fish tank completely coated in a coating of green. Algae...

Calculated crystals, kept here for reference
┌──
First-principles (GGA+U) data for an optimized crystal structure of Y3Al3Cr2O12, as listed in the Materials Project.

abc: 12.2834 12.2834 12.2834
angles: 90.00 90.00 90.00
With the nearest neighbours (Å) after each atom.
Space group Ia-3d (No. 230)
Unique sites:
Y: 0.0000 0.2500 0.1250 x24  8 O 2.35-2.46
Al: 0.0000 0.2500 0.3750 x24  4 O 1.79
Cr: 0.0000 0.0000 0.0000 x16  6 O 2.03
O: 0.0309 0.0545 0.6533 x96  1 Al 1.79



First-principles (GGA+U) data for an optimized crystal structure of Al4Zn3Cr2O12, as listed in the Materials Project.

abc: 19.4241 5.8144 8.2803
angles: 90.00 114.59 90.00
With the nearest neighbours (Å) after each atom.
Space group C2/m (No. 12)
Unique sites:
Al: 0.0843 0.2491 0.3326 x8  6 O 1.92-1.95
Al: 0.1670 0.0000 0.1666 x4  6 O 1.93-1.95
Al: 0.2500 0.2500 0.0000 x4  6 O 1.93-1.96
Zn: 0.0835 0.5000 0.9590 x4  4 O 1.98-2.00
Zn: 0.0841 0.0000 0.7125 x4  4 O 1.98-1.99
Zn: 0.2493 0.0000 0.6236 x4  4 O 1.99-2.00
Cr: 0.0000 0.0000 0.0000 x2  6 O 2.02
Cr: 0.0000 0.5000 0.5000 x2  6 O 2.01-2.03
Cr: 0.1676 0.5000 0.6668 x4  6 O 2.01-2.02
O: 0.0114 0.0000 0.2538 x4  2 Al 1.94, 1 Zn 1.99, 1 Cr 2.02
O: 0.0109 0.5000 0.2665 x4  2 Al 1.95, 1 Zn 2.00, 1 Cr 2.03
O: 0.0837 0.2672 0.5636 x8  1 Al 1.92, 1 Zn 1.98, 2 Cr 2.01
O: 0.0868 0.2246 0.1031 x8  2 Al 1.93, 1 Zn 1.98, 1 Cr 2.02
O: 0.1559 0.5000 0.4129 x4  2 Al 1.93, 1 Zn 1.99, 1 Cr 2.02
O: 0.1580 0.0000 0.3925 x4  3 Al 1.95, 1 Zn 2.00
O: 0.1761 0.0000 0.9403 x4  3 Al 1.95-1.96, 1 Zn 1.99
O: 0.1778 0.5000 0.9199 x4  2 Al 1.93, 1 Zn 1.99, 1 Cr 2.02
O: 0.2467 0.2260 0.2295 x8  2 Al 1.93, 1 Zn 1.99, 1 Cr 2.01



First-principles (GGA+U) data for an optimized crystal structure of Cs3Li2AlMo4O16, as listed in the Materials Project.

abc: 12.6147 12.6147 12.3064
angles: 90.00 90.00 90.00
With the nearest neighbours (Å) after each atom.
Space group I-42d (No. 122)
Unique sites:
Cs: 0.0000 0.0000 0.0000 x4  12 O 3.38-3.49
Cs: 0.1380 0.7500 0.6250 x8  12 O 3.35-3.54, 2 Li 3.74
Li: 0.1244 0.2500 0.1250 x8  4 O 1.96-1.97
Al: 0.0000 0.0000 0.5000 x4  4 O 1.76
Mo: 0.0944 0.6505 0.9681 x16  4 O 1.76-1.88
O: 0.0303 0.1633 0.2156 x16  1 Mo 1.78, 1 Li 1.96
O: 0.0722 0.1771 0.8007 x16  1 Mo 1.76
O: 0.0795 0.5815 0.8332 x16  1 Al 1.76, 1 Mo 1.88
O: 0.1568 0.7235 0.2962 x16  1 Mo 1.78, 1 Li 1.97



First-principles (GGA+U) data for an optimized crystal structure of CsMgAlMo2O8, as listed in the Materials Project.

abc: 5.7360 5.7360 10.3103
angles: 90.00 90.00 120.00
With the nearest neighbours (Å) after each atom.
Space group P3m1 (No. 156)
Unique sites:
Cs: 0.0000 0.0000 0.0000 x1  6 O 3.19-3.35
Mg: 0.0000 0.0000 0.6271 x1  3 O 1.98
Al: 0.0000 0.0000 0.3801 x1  6 O 1.90-1.94
Mo: 0.3333 0.6667 0.5499 x1  4 O 1.85-1.93
Mo: 0.6667 0.3333 0.2217 x1  4 O 1.77-1.81
O: 0.1472 0.2944 0.4976 x3  1 Al 1.90, 1 Mo 1.93, 1 Mg 1.98
O: 0.3163 0.1582 0.2697 x3  1 Mo 1.81, 1 Al 1.94
O: 0.3333 0.6667 0.7289 x1  1 Mo 1.85
O: 0.6667 0.3333 0.0501 x1  1 Mo 1.77
└──


Betta Fish Care: Only Guide You’ll Ever Need

Betta splendens is the scientific name for the Betta Fish. Siamese Fighting Fish is another name for them. They are Asian in origin and were once maintained for their fighting abilities. They arrived in the United States for the first time in 1927. Bettas are now mostly kept for their looks. They’ve been selectively bred into a variety of colors and tail forms over the years. In the freshwater hobby, they are now known as designer fish.

Betta splendens is a species of Betta that may be found in...


The Horn Shark: All you need to know!

The horn shark is a tiny, common, bottom-dweller in the warm seas off western North America. A member of the Bullhead Shark genus, it (Heterodontidae). Its name originates from its small, blunt skull with prominent ridges above the eyes. It has huge spines on its two prominent dorsal fins, and many little black dots on brownish grey skin. Most adults measure around 1 m, while the greatest length of this species is 1.2 m (3.3 ft) (3.3 ft).

Horn sharks have a narrow home range, generally no bigger...


The Thresher Shark: All You Need To Know!

The Thresher Shark is also known as the Alopias Vulpinus or Fox Shark. Its name originates from the sharks abnormally big tail (caudal fin), which is in most cases, as long as the shark itself!

Today, there are three surviving species of this Shark:

  • Pelagic Thresher
  • Bigeye Thresher
  • Thresher of the Field

However, scientists are baffled as to whether or not a fourth species may exist. This is still a mystery to aficionados, but many feel that the discovery of a fourth species is just a matter of...


Best Educational Shark Toys for Kids in 2022

Summer vacations could be a time for children to have fun and play activities, but it may be difficult for parents to keep their children engaged.

Giving your child things that will keep them engaged while also challenging their intellect is a perfect answer to this small problem. Consider instructional shark toys for kids if you’re seeking for something different but nonetheless informative.

These toys will not only teach your child about sharks, but they will also keep them amused for hours...


How Much Are Koi Fish? Why are they so costly?

For their gorgeous pedigree and unusual coloration, koi fish are recognized to embellish garden ponds, restaurant interiors, and lounge areas. Even though Koi are generally referred to as Japanese Carp.

A remarkable record sale shook the world of koi a few years ago. A Kohaku koi that was in the pristine condition sold for $1.8 million! It was a 9-year-old specimen with brilliant red-orange splotches on a perfect white body. This gorgeous female fish drew the attention of Japanese artists, who...


Best Place To Buy Fish Online in 2022 [Latest]

Aquarium hobbyists may now buy fish and plants online, thanks to the internet and quick shipment. Many online retailers provide services such as guaranteed live delivery and even overnight shipment. It’s not always the situation, which is one of the reasons it’s critical to pick the right online business for your needs.

Different stores offer varying product quality, options, and delivery policies. All of these factors influence the store’s functionality, including whether any one of the items...
